2025 Emerging Artist Division



Thank you to all who applied, we had an amazing group of singers apply!

*in alphabetical order

- - -
[1]
# CaPr15Er4
Calculated powder XRD pattern, Cu Ka. Input: a cell relaxed with PBE.

The 10 most intense peaks (10° ≤ 2θ ≤ 90°), in order of falling intensity:
| 2theta | I_rel | hkl |
| --- | --- | --- |
| 29.75 | 100 | 1 1 5 |
| 49.57 | 36 | 2 2 0 |
| 34.44 | 34 | 2 0 0 |
| 58.83 | 29 | 3 1 5 |
| 34.57 | 17 | 0 0 10 |
| 59.00 | 14 | 1 1 15 |
| 61.79 | 12 | 2 2 10 |
| 80.54 | 11 | 3 1 15 |
| 80.39 | 6 | 3 3 5 |
| 82.91 | 6 | 4 2 0 |

Structure:
abc: 5.207 5.207 25.943
angles: 90.00 90.00 90.00
Space group P4/mmm (No. 123)
Inequivalent atoms, fractional coordinates:
1 Ca 0.000 0.000 0.000
2 Pr 0.000 0.500 0.104
3 Pr 0.000 0.500 0.302
4 Pr 0.000 0.500 0.500
5 Pr 0.500 0.500 0.000
6 Pr 0.500 0.500 0.202
7 Pr 0.500 0.500 0.400
8 Er 0.000 0.000 0.202
9 Er 0.000 0.000 0.401

[2]
# La3Ho2In2
Calculated powder XRD pattern, Cu Ka. Input: a cell relaxed with PBE.

The 10 most intense peaks (10° ≤ 2θ ≤ 90°), in order of falling intensity:
| 2theta | I_rel | hkl |
| --- | --- | --- |
| 32.26 | 100 | 2 0 0 |
| 33.60 | 26 | 1 3 1 |
| 65.36 | 26 | 2 0 2 |
| 42.40 | 25 | 2 0 1 |
| 31.59 | 19 | 1 1 1 |
| 57.53 | 19 | 3 7 0 |
| 31.23 | 15 | 0 4 1 |
| 26.77 | 14 | 0 0 1 |
| 45.54 | 10 | 2 4 1 |
| 83.82 | 9 | 3 7 2 |

Structure:
abc: 5.544 22.448 3.330
angles: 90.00 90.00 90.00
Space group Cmmm (No. 65)
Inequivalent atoms, fractional coordinates:
1 La 0.000 0.000 0.000
2 La 0.000 0.284 0.000
3 Ho 0.000 0.426 0.000
4 In 0.000 0.142 0.500

[3]
# BaHOs2O8
Calculated powder XRD pattern, Cu Ka. Input: a cell relaxed with PBE.

The 10 most intense peaks (10° ≤ 2θ ≤ 90°), in order of falling intensity:
| 2theta | I_rel | hkl |
| --- | --- | --- |
| 26.11 | 100 | 2 0 -2 |
| 29.76 | 72 | 3 1 -1 |
| 19.53 | 52 | 1 1 0 |
| 26.41 | 52 | 2 0 1 |
| 21.85 | 41 | 1 1 -1 |
| 31.21 | 29 | 1 1 -2 |
| 50.68 | 26 | 5 1 -3 |
| 35.41 | 24 | 0 2 0 |
| 47.77 | 22 | 5 1 0 |
| 44.54 | 21 | 2 2 -2 |

Structure:
abc: 11.280 5.070 6.992
angles: 90.00 114.39 90.00
Space group C2/m (No. 12)
Inequivalent atoms, fractional coordinates:
1 Ba 0.000 0.000 0.000
2 H 0.000 0.500 0.500
3 Os 0.192 0.000 0.662
4 O 0.096 0.265 0.689
5 O 0.146 0.500 0.139
6 O 0.180 0.000 0.397

[4]
# Rb5Cd2Hg5
Calculated powder XRD pattern, Cu Ka. Input: a cell relaxed with PBE.

The 10 most intense peaks (10° ≤ 2θ ≤ 90°), in order of falling intensity:
| 2theta | I_rel | hkl |
| --- | --- | --- |
| 32.89 | 100 | 5 1 -4 |
| 25.61 | 98 | 3 1 0 |
| 27.17 | 54 | 1 1 2 |
| 17.96 | 53 | 2 0 1 |
| 36.68 | 42 | 0 2 0 |
| 19.19 | 35 | 1 1 -1 |
| 26.20 | 34 | 2 0 -4 |
| 36.38 | 33 | 4 0 2 |
| 50.78 | 32 | 9 1 -2 |
| 29.22 | 27 | 6 0 -2 |

Structure:
abc: 18.776 4.901 14.202
angles: 90.00 127.91 90.00
Space group C2/m (No. 12)
Inequivalent atoms, fractional coordinates:
1 Rb 0.000 0.000 0.000
2 Rb 0.127 0.500 0.825
3 Rb 0.191 0.500 0.586
4 Cd 0.109 0.500 0.259
5 Hg 0.000 0.000 0.500
6 Hg 0.064 0.000 0.338
7 Hg 0.202 0.500 0.144


Entry 1:
- - -
## Back to the article

A video of our semi-final round will be posted on our Youtube Channel soon!


Hayley Abramowitz, soprano

Rachel Barg, mezzo-soprano

Chancelor Barbaree, baritone

Caroline Bergan, soprano

Ashlyn Brown, mezzo-soprano

Evan K. Brown, tenor

Jinpark Choi, tenor

Linda Collazo, mezzo-soprano

Christine Cummins, soprano

What comes next are calculated crystals, not part of the entry:
~~~
Cs4Pr3CrO8: computed powder X-ray diffraction pattern (Cu Kα (λ = 1.5418 Å)), based on a DFT-relaxed cell (PBE+U, Alexandria).
Intensities are scaled so that the largest is 100.

Atomic structure:
Lattice parameters (Å, degrees): 7.2433 7.2433 20.6920 90.00 90.00 120.00
Space group R-3m (No. 166, hexagonal axes)
Inequivalent atoms, fractional coordinates:
Cs 0.0000 0.0000 0.0000 (multiplicity 3)
Cs 0.0000 0.5000 0.0000 (multiplicity 9)
Pr 0.0000 0.5000 0.5000 (multiplicity 9)
Cr 0.0000 0.0000 0.5000 (multiplicity 3)
O 0.0000 0.0000 0.2243 (multiplicity 6)
O 0.0272 0.5136 0.2213 (multiplicity 18)

Peak list (10 most intense, 10 to 90 degrees two-theta, sorted by position)
Position (°2θ)	d [Å]	I (rel.)
25.8	3.449	48
29.8	3.002	85
33.4	2.682	100
45.5	1.995	36
50.4	1.811	31
~~~
Back to the entry:

Andrew Derynck, tenor

Robert Feng, bass-baritone

Riley Findley, baritone

Yazid Gray, baritone

Cumhur Gorgun, bass

Marissa Howard, soprano

Tara Jamshidian, soprano

Julia Maria Johnson, soprano

Matthew Juhlin, baritone

Alexandra Kzeski, soprano

Yi Liu, soprano

Alexia Mate, soprano

Cecilia MeKinley, mezzo-soprano

Luna Seongeun Park, soprano

Sunwoo Park, soprano

Erin Ridge, soprano

Laura Sanders, soprano

Tzytle Steinman, mezzo-soprano

Alina Tamorini, soprano

Logan Wagner, tenor

2025 MIOpera International Vocal Competition

Applications are now OPEN for the 2025 International Competition!

emerging artists General information

*All Winners of the 2025 Competition in the Emerging Artist Category are required to perform on the Winner Concert on Sunday May 18th in Bloomington-Normal, Illinois. Details below.

Grand Prize/1st place: $2000.00

2nd place: $1500.00

3rd place: $1000.00

Additional Awards (Given at the discretion of the Judges): Music at Sanctuary Music Festival, Artist Contract, John and Tracy Koch Audience Award, 2025 Mary Ellen Clancy Scholarship Award (chosen from semi-finalists by the Opera Illinois League Board: https://www.facebook.com/operaillinoisleague) and the MIOpera Role Award.

  • All Winners in the Emerging Artist Category must be available to perform on the Winners Concert on the following dates:

    Saturday May 17 @ 7:00pm to 9:00pm: Rehearsal

    Sunday May 18 @ 4:00pm to 5:00pm: Performance

    -All performers will receive travel and lodging. You must be present and perform at the concert to receive your prize money.

  • The judges will review the videos and choose the winners. All decisions of the judges are final. You will receive direct feedback from all judges if you are in the semi-finals. This year’s judges:

    -Kearstin Piper Brown, soprano

    -Prof. John M. Koch, MIOpera

    -Tracy Marie Koch, MIOpera

    -Dr. Carren Moham, soprano

    -Richard Zeller, Baritone

+++
# Na3TaF6
Calculated powder XRD pattern, Cu Kα (λ = 1.5418 Å). Input: a cell relaxed with PBE.
Intensities are scaled so that the largest is 100.

Cell and atoms:
```
data_Na3TaF6
_chemical_formula_sum 'Na12 Ta4 F24'
_cell_length_a 8.5720
_cell_length_b 8.5720
_cell_length_c 8.5720
_cell_angle_alpha 90.00
_cell_angle_beta 90.00
_cell_angle_gamma 90.00
_symmetry_space_group_name_H-M 'F m -3 m'
_symmetry_Int_Tables_number 225
_symmetry_space_group_name_Hall '-F 4 2 3'
loop_
_atom_site_label
_atom_site_type_symbol
_atom_site_fract_x
_atom_site_fract_y
_atom_site_fract_z
Na1 Na 0.0000 0.0000 0.0000
Na2 Na 0.2500 0.2500 0.2500
Ta1 Ta 0.0000 0.0000 0.5000
F1 F 0.0000 0.0000 0.2598
```

Top 10 peaks for 2θ from 15° to 90°, in order of rising 2θ:
2θ = 17.92°, I = 100
2θ = 20.72°, I = 80
2θ = 29.47°, I = 79
2θ = 34.71°, I = 52
2θ = 42.17°, I = 44
2θ = 46.16°, I = 21
2θ = 47.43°, I = 34
+++

  • This competition is open to all singers regardless of citizenship.

  • All awards will be given to the winners after the Sunday May 18 Performance.

  • Applicants will be notified by email of our results.

  • Thirty (30) semi-finalists will be chosen by our judges and fifteen (15) finalists will be chosen from our semi-finalists to compete online.

    important deadlines

    Deadline: Friday February 7, 2025

    Announcement of Semi-finalists: Friday February 28, 2025

    Finalists & Winners: Friday March 7, 2025

  • Semi-finalist singers in the Emerging Artist Category will be eligible for 1st prize/Grand Prize, 2nd prize, 3rd prize, Honorable Mention, Music at the Sanctuary Music Festival Artist Contract, a contract for a role in a future MIOpera season, John and Tracy Koch Audience Award, 2024 Mary Ellen Clancy Scholarship Award (chosen from semi-finalists by the Opera Illinois League Board: https://www.facebook.com/operaillinoisleague)

  • The final Announcement of the Winners will be on our MIOpera YouTube Channel Friday March 7, 2025.

Emerging Artist Rules:

*Previous first prize and grand prize winners are not eligible.

  1. This level of the competition is for those who are Emerging Artists and have not yet performed or have been contracted with a Level A opera company and/or have participated in a Level A opera company’s Young Artist Program. There is no age limit for this division.

  2. Applicants must submit three (3)audition selections. Once the selections are submitted, they cannot be changed. Submit a video recording of three (3) arias, any language & style from any of the standard and/or modern Opera repertory.

  3. A $30.00 application fee will be required during your application submission. All application fees are non-refundable.

  4. Applications must be submitted by the competition deadline date, Friday February 7, 2025.

  5. Applications not completed in their entirety, not submitted by the deadline date, or submitted without an application fee payment will be considered ineligible to compete.

  6. Applicants must dress in concert attire for your videos.

  7. All video links submitted on your application must be active and available for the judges to view. If any of your links do not work, you will automatically be disqualified.

  8. You may use videos with orchestral and/or piano accompaniment. If you are using a video from a performance, please obtain permission to use the video. Please have your videos ready to start at the beginning of your aria.

  9. If you do not respond to our emails from the MIOpera International Vocal Competition and/or do not submit the requested videos on-time during the semi-finalist or finalist portion of the competition, you will automatically be disqualified and alternates will be notified. Please make sure our email address: mioperaoffice@gmail.com is in your contacts so our emails do not go to your spam folder.

  10. Please read the rules carefully and abide by them.

  11. MIOpera reserves the right to extend the application deadlines.

  12. Judges’ feedback will be given to each of the semi-finalists after the competition has ended. Please do not contact the judges for more feedback. The judges decisions and feedback are final.

  13. If you are not redirected to the application fee please pay here: https://www.miopera.net/marketplace/2024-miopera-vocal-competition-application-fee

  14. Questions? Email: Tracy: mioperaoffice@gmail.com